Bin Laden Niece Poses for Sexy Photo Shoot
Kevin Krolicki
ABC News
Los Angeles (US):
# Crystal structures, kept here for reference
'''
Entry 1:
Below is a relaxed structure of FeBi25O39, with properties calculated at the PBE with a Hubbard U level.

Lattice parameters (Å, degrees): 10.331 10.331 10.331 90.16 90.16 90.16
Fractional coordinates of all 65 atoms:
O: 0.011 0.630 0.747
O: 0.251 0.488 0.865
O: 0.132 0.745 0.490
O: 0.745 0.490 0.132
O: 0.308 0.308 0.308
O: 0.488 0.865 0.251
O: 0.250 0.014 0.366
O: 0.490 0.132 0.745
O: 0.608 0.608 0.608
O: 0.630 0.747 0.011
O: 0.748 0.510 0.868
O: 0.809 0.809 0.809
O: 0.748 0.990 0.370
O: 0.510 0.129 0.250
O: 0.868 0.748 0.510
O: 0.251 0.987 0.630
O: 0.250 0.510 0.129
O: 0.392 0.607 0.391
O: 0.129 0.250 0.510
O: 0.510 0.868 0.748
O: 0.366 0.250 0.014
O: 0.747 0.011 0.630
O: 0.308 0.689 0.692
O: 0.987 0.630 0.251
O: 0.370 0.748 0.990
O: 0.014 0.366 0.250
O: 0.185 0.815 0.187
O: 0.104 0.884 0.889
O: 0.689 0.692 0.308
O: 0.692 0.308 0.689
O: 0.865 0.251 0.488
O: 0.187 0.185 0.815
O: 0.990 0.370 0.748
O: 0.630 0.251 0.987
O: 0.391 0.392 0.607
O: 0.884 0.889 0.104
O: 0.889 0.104 0.884
O: 0.815 0.187 0.185
O: 0.607 0.391 0.392
Bi: 0.323 0.186 0.488
Bi: 0.671 0.182 0.512
Bi: 0.326 0.011 0.818
Bi: 0.686 0.013 0.177
Bi: 0.177 0.686 0.013
Bi: 0.013 0.177 0.686
Bi: 0.488 0.323 0.186
Bi: 0.676 0.815 0.490
Bi: 0.325 0.813 0.514
Bi: 0.823 0.684 0.988
Bi: 0.182 0.512 0.671
Bi: 0.017 0.017 0.017
Bi: 0.684 0.988 0.823
Bi: 0.011 0.818 0.326
Bi: 0.186 0.488 0.323
Bi: 0.818 0.326 0.011
Bi: 0.514 0.325 0.813
Bi: 0.988 0.823 0.684
Bi: 0.183 0.332 0.984
Bi: 0.512 0.671 0.182
Bi: 0.984 0.183 0.332
Bi: 0.813 0.514 0.325
Bi: 0.815 0.490 0.676
Bi: 0.332 0.984 0.183
Bi: 0.490 0.676 0.815
Fe: 0.500 0.500 0.500

- symmetry = No. 146

Entry 2:
Below is a relaxed structure of Fe10Bi5O24, with properties calculated at the PBE with a Hubbard U level.

Lattice parameters (Å, degrees): 10.867 10.867 10.867 108.97 108.97 110.48
Fractional coordinates of all 78 atoms:
O: 0.696 0.140 0.651
O: 0.955 0.510 0.651
O: 0.182 0.106 0.635
O: 0.044 0.108 0.833
O: 0.201 0.515 0.255
O: 0.758 0.032 0.331
O: 0.054 0.740 0.255
O: 0.396 0.030 0.080
O: 0.049 0.804 0.814
O: 0.492 0.323 0.774
O: 0.789 0.725 0.833
O: 0.765 0.010 0.814
O: 0.472 0.547 0.365
O: 0.968 0.242 0.669
O: 0.760 0.610 0.056
O: 0.677 0.508 0.226
O: 0.390 0.240 0.944
O: 0.282 0.450 0.774
O: 0.453 0.528 0.635
O: 0.950 0.316 0.920
O: 0.700 0.427 0.669
O: 0.566 0.146 0.867
O: 0.280 0.700 0.133
O: 0.068 0.203 0.425
O: 0.356 0.222 0.425
O: 0.550 0.718 0.226
O: 0.485 0.799 0.745
O: 0.684 0.050 0.080
O: 0.490 0.045 0.349
O: 0.295 0.446 0.056
O: 0.275 0.211 0.167
O: 0.554 0.705 0.944
O: 0.260 0.946 0.745
O: 0.970 0.604 0.920
O: 0.196 0.951 0.186
O: 0.461 0.794 0.436
O: 0.894 0.818 0.365
O: 0.778 0.644 0.575
O: 0.860 0.304 0.349
O: 0.206 0.539 0.564
O: 0.975 0.642 0.436
O: 0.797 0.932 0.575
O: 0.573 0.300 0.331
O: 0.990 0.235 0.186
O: 0.300 0.720 0.867
O: 0.854 0.434 0.133
O: 0.358 0.025 0.564
O: 0.892 0.956 0.167
Fe: 0.125 0.249 0.624
Fe: 0.012 0.512 0.500
Fe: 0.372 0.124 0.749
Fe: 0.874 0.626 0.748
Fe: 0.377 0.624 0.749
'''
Her uncle may be the world's most elusive fugitive, but Osama bin Laden's niece is about as conspicuous as she can be in a sexy photo shoot in the January edition of the men's fashion magazine GQ.
Wafah Dufour is an aspiring New York-based musician who told the magazine that her family ties to the al Qaeda leader suspected of masterminding the September 11, 2001 attacks have prompted death threats and sent her into a bout of depression.
As part of an effort to distance herself from her massive Saudi family, Dufour appears in a sultry GQ photo spread, reclining on satin sheets wrapped in feathers in one picture and posing in a bubble bath wearing nothing but jewelry in a second.
"I was born in the States and I want people to know I'm American, and I want people here to understand that I'm like anyone in New York. For me, it's home," said Dufour.Her mother, Carmen bin Laden, wrote the 2004 bestseller "Inside the Kingdom: My Life in Saudi Arabia," an account of her rocky marriage to Yeslama bin Laden, Osama's half-brother, who amassed a fortune in the family's construction business and started his own investment firm.
Dufour, who was born in Santa Monica, California, while her parents studied at the University of Southern California, said she had never met Osama bin Laden.
Dec 23, 2005
Kevin Krolicki
ABC News
Los Angeles (US):
Her uncle may be the world's most elusive fugitive, but Osama bin Laden's niece is about as conspicuous as she can be in a sexy photo shoot in the January edition of the men's fashion magazine GQ.
Wafah Dufour is an aspiring New York-based musician who told the magazine that her family ties to the al Qaeda leader suspected of masterminding the September 11, 2001 attacks have prompted death threats and sent her into a bout of depression.
As part of an effort to distance herself from her massive Saudi family, Dufour appears in a sultry GQ photo spread, reclining on satin sheets wrapped in feathers in one picture and posing in a bubble bath wearing nothing but jewelry in a second.
"I was born in the States and I want people to know I'm American, and I want people here to understand that I'm like anyone in New York. For me, it's home," said Dufour.Her mother, Carmen bin Laden, wrote the 2004 bestseller "Inside the Kingdom: My Life in Saudi Arabia," an account of her rocky marriage to Yeslama bin Laden, Osama's half-brother, who amassed a fortune in the family's construction business and started his own investment firm.
Dufour, who was born in Santa Monica, California, while her parents studied at the University of Southern California, said she had never met Osama bin Laden.
Dec 23, 2005